Why Choose Chinese, Japanese, or Korean Over French, German, or Spanish?

In today’s globalized world, learning a new language can be a significant asset for career growth and personal development. While languages like French, German, and Spanish have traditionally been popular choices, there are compelling reasons why Indian students should consider Chinese, Japanese, or Korean (CJK) languages. Here’s why:

Inserted here: quantum chemistry results:
The following is a quantum chemistry calculation of a gas-phase ion, C5H9N (charge +1), from OMol25.

Energy above the lowest of the compared OMol25 structures with the same formula, charge and spin = 1.854 eV
Charge = +1
Multiplicity = 2
Max |F| = 3.28 eV/Å
⟨S²⟩ = 0.76
E_tot = -250.3005 hartree

Positions of all 15 atoms, in Å:
1 C 2.200 -0.319 -0.506
2 N 0.032 1.113 1.175
3 C -0.146 0.526 -0.069
4 C 0.844 0.180 -0.952
5 C -1.843 -1.196 0.320
6 C -1.514 -0.050 -0.245
7 H 2.710 0.523 0.014
8 H 2.096 -1.120 0.226
9 H 2.834 -0.652 -1.315
10 H 0.993 1.054 1.509
11 H -0.527 0.526 1.798
12 H 0.636 -0.294 -1.915
13 H -1.162 -2.017 0.557
14 H -2.841 -1.577 0.462
15 H -2.128 0.632 -0.851

----------

# 1
{
  "formula": "C36H32BCrF3O5S",
  "method": "ωB97M-V/def2-TZVPD",
  "gap_ev": [5.987, 3.684],
  "charge": 3,
  "homo_energy_ha": [-0.581, -0.579],
  "spin_multiplicity": 4,
  "de_lowest_kcal_mol": 21.4,
  "elements": ["H", "F", "S", "C", "H", "H", "C", "F", "C", "H", "C", "C", "O", "C", "O", "O", "H", "C", "H", "H", "C", "C", "H", "H", "C", "H", "C", "C", "C", "C", "H", "H", "C", "C", "C", "H", "O", "C", "H", "H", "H", "C", "C", "C", "H", "C", "C", "C", "H", "C", "C", "C", "C", "H", "H", "H", "H", "B", "H", "C", "H", "C", "H", "H", "H", "C", "C", "O", "C", "C", "H", "C", "C", "Cr", "H", "F", "H", "H", "H"],

Economic Powerhouses and Career Opportunities


China’s economy is a global behemoth, with imports from China to India reaching $118.77 billion in 2022-2023. Chinese investors are increasingly involved in Indian startups, contributing over $5 billion in recent deals. As China continues to be a major player in global markets, proficiency in Mandarin can open doors to numerous career opportunities in sectors like technology, manufacturing, and finance​ ​​ (Invest India)​.


Japan is the fifth-largest investor in India, with cumulative FDI inflows of $40.84 billion from April 2000 to September 2023. Over 1439 Japanese companies operate in India, with significant investments in automobiles, electronics, medical devices, and consumer goods. Japan’s commitment to a “free and open Indo-Pacific” and the India-Japan Comprehensive Economic Partnership Agreement (CEPA) enhance bilateral trade and investment, making Japanese a valuable language for career advancement​ (Invest India)​.

South Korea:

South Korea is a strategic partner for India, with investments totaling $5.71 billion from April 2000 to September 2023. The Republic of Korea (RoK) is a major player in the electronics, automotive, and steel industries in India. Companies like Hyundai, Samsung, and LG have a significant presence in India, providing ample job opportunities for those proficient in Korean​ (Invest India)​.

Bridging Cultures and Enhancing Diplomatic Relations

India’s relationships with China, Japan, and South Korea are not only economically significant but also culturally rich. These countries have shared historical and cultural ties with India, including the spread of Buddhism and other ancient Indian wisdom. Understanding these languages fosters deeper cultural appreciation and strengthens diplomatic and business relationships.

Becoming Indispensable in the Workplace

Professionals proficient in CJK languages often become key points of contact in multinational organizations, bridging communication gaps and facilitating smoother operations. This linguistic ability makes them indispensable and can lead to quicker career advancement and recognition within the organization.


Strategic Advantages for Indian Students

Global Communication:

Knowing Hindi, English, and one of the CJK languages positions Indian professionals to communicate with a significant portion of the global population. Mandarin, in particular, is spoken by over a billion people, making it a strategic language choice.

[These records of molecules were left in the text by mistake]
/*
[1]
Computed, not measured: a 2-piece molecular cluster, C8H14N5 overall at a distorted geometry, with ωB97M-V/def2-TZVPD.

Geometry as XYZ:
```
27
Properties=species:S:1:pos:R:3:forces:R:3
C 0.012 -2.722 0.044 1.179 -1.909 0.529
C -0.149 -0.106 -0.311 1.185 0.465 0.943
C 1.124 -0.698 -0.138 0.264 -3.329 0.904
C -1.214 -0.922 -0.347 1.961 -2.292 0.068
C -2.024 1.063 0.114 -2.346 4.918 2.028
C 2.510 1.188 -0.716 -0.297 -0.262 -1.160
C 3.497 -0.867 0.410 -0.911 0.243 -3.095
C -3.566 -0.803 0.224 -1.645 -2.408 -1.159
N 1.171 -2.097 0.123 -1.185 2.880 -0.770
N -1.185 -2.211 -0.268 -0.390 -1.974 0.420
N -0.594 1.203 -0.152 -0.814 1.203 -0.205
N 2.305 -0.119 -0.038 0.381 2.103 -0.971
N -2.423 -0.214 -0.393 0.258 0.910 -6.596
H 0.200 -3.818 0.337 -1.316 1.536 -0.779
H -2.428 1.071 1.227 1.612 -0.312 -1.548
H -2.692 1.999 -0.275 1.706 -2.415 0.290
H 1.510 1.682 -0.751 1.199 0.107 0.141
H 3.270 1.698 -0.114 -0.420 0.400 -0.433
H 2.838 1.166 -1.855 -0.377 -0.510 2.346
H 3.282 -1.267 1.338 -0.278 -1.121 1.865
H 3.608 -1.673 -0.371 0.743 0.709 1.106
H 4.284 -0.134 0.497 0.434 -0.190 -0.269
H -3.227 -1.425 1.044 0.037 0.134 0.282
H -4.146 0.037 0.545 -1.055 -0.069 0.117
H -4.051 -1.545 -0.529 0.496 1.628 1.462
H -0.066 1.834 0.453 -0.482 -0.371 -0.168
H -2.577 -0.119 -1.818 0.061 -0.072 4.654
```
Forces are in eV/Å.

The energy relative to the best compared isomer or geometry (same formula, charge and spin) comes out at 352.81 kJ/mol. For the total energy, the calculation gives -586.6449 a.u. The net charge is +1.

=====

[2]
Computed, not measured: C28H34ClGaN10O4S2 as an isolated structure at a distorted geometry, with ωB97M-V/def2-TZVPD.

Geometry as XYZ:
```
80
Properties=species:S:1:pos:R:3:forces:R:3
Ga -10.149 2.652 18.040 1.784 1.253 -0.288
C -13.648 5.920 20.628 1.877 0.491 -1.163
C -13.624 4.726 19.722 -1.085 -0.236 1.146
N -14.713 4.247 19.227 -0.133 -0.555 -1.181
N -14.342 3.154 18.449 0.440 0.470 1.266
C -13.050 2.895 18.580 -0.166 -0.319 -0.787
S -12.078 1.639 17.862 -1.541 -0.134 -0.108
N -12.577 3.871 19.392 -1.421 -0.272 -0.291
N -11.249 4.116 19.436 2.831 0.351 1.787
H -14.394 6.575 20.238 -0.413 0.634 -0.603
H -12.662 6.456 20.604 -0.913 -0.393 0.188
H -13.977 5.782 21.631 0.145 -0.852 0.865
H -15.057 2.636 17.954 0.056 -0.080 -0.014
H -11.131 5.079 19.171 0.499 0.616 -0.494
H -10.855 4.083 20.423 -0.756 -0.220 -1.197
C -10.623 -1.705 22.260 1.521 -0.228 -0.875
C -9.281 -2.341 21.693 -0.838 -0.331 1.288
C -9.323 -2.278 20.158 -1.329 -0.957 0.531
C -9.308 -3.822 22.157 -0.334 -0.109 -1.226
C -8.018 -1.684 22.299 0.914 -1.397 0.977
O -6.850 -2.111 21.580 0.228 -0.546 0.414
C -7.760 -1.954 23.881 1.283 -0.975 -1.279
C -8.758 -1.770 24.989 0.275 1.424 1.084
C -9.157 -0.291 25.137 -0.970 -0.533 0.905
C -8.166 0.681 25.143 0.466 -0.111 -0.342
C -8.414 2.053 25.229 -0.352 -0.761 0.328
C -9.736 2.417 25.408 -0.671 -1.068 -0.893
Cl -10.180 4.066 25.373 -0.162 0.825 0.173
C -10.778 1.451 25.446 -0.152 0.578 0.929
*/

Educational Opportunities:

Governments of China, Japan, and South Korea offer numerous scholarships and educational exchange programs for Indian students. These opportunities can lead to advanced studies and research in diverse fields, further enhancing career prospects.

Growing Economic Partnerships:

India’s “Act East” policy and strategic partnerships with these nations underscore the importance of learning CJK languages. As India continues to strengthen its economic and diplomatic ties with China, Japan, and South Korea, proficiency in their languages becomes increasingly valuable.

Standing Out in a Competitive Job Market

While many students opt for French, German, or Spanish, learning CJK languages can add uniqueness to your resume. The language specialist resources for Chinese, Japanese, and Korean are relatively scarce, driving demand and often resulting in higher pay compared to European languages. This scarcity creates an opportunity for Indian students to stand out and command better job prospects and compensation.


Choosing to learn Chinese, Japanese, or Korean over more traditional European languages can be a game-changer for Indian students. It not only aligns with the growing economic ties and strategic partnerships between India and these East Asian countries but also offers vast career opportunities, cultural enrichment, and a competitive edge in the global job market. With these languages, Indian students can play a pivotal role in bridging the East and the West, becoming invaluable assets in multinational teams and organizations. Moreover, the scarcity of specialists in these languages can lead to higher pay and better job prospects, making them an attractive choice for students looking to stand out.